_Material_
........
Record 1
Formula: C5H8N2
Source: the OMol25 dataset
Level of theory: wB97M-V/def2-TZVPD

- 2S+1 = 1
- Kohn-Sham gap (eV) = 10.76
- SMILES string = C[C@H]1CN1CC#N
- M (g mol⁻¹) = 96.13
- HOMO energy (eV) = -9.78
- relative energy (zero: lowest compared OMol25 entry of this formula, charge and spin) (eV) = 1.761
- total energy (eV) = -8293.2357

```
15
Properties=species:S:1:pos:R:3:forces:R:3
H 2.0736 1.3905 0.5467 0.140 -0.182 -0.030
H -0.0118 -1.0478 -0.8320 -0.445 0.319 -0.088
H -2.5823 -1.1416 -0.2703 0.113 -0.066 0.102
C -1.8119 -0.9734 0.4893 -0.029 -0.021 0.122
C 2.1327 -0.1193 -0.9351 0.079 -0.303 -0.770
C -0.5692 -0.4055 -0.1442 -0.025 -0.202 -0.021
C -0.5187 1.0758 -0.2697 -0.168 0.170 -0.231
C 1.7007 0.3697 0.4183 0.362 -0.030 0.114
H -1.6178 -1.9064 1.0248 -0.002 0.037 -0.130
N 0.2818 0.3891 0.7324 0.093 -0.046 0.137
H 2.1906 -0.2717 1.1549 0.097 0.069 -0.108
H -1.3987 1.5945 0.1351 0.555 0.019 -0.298
N 2.4632 -0.5393 -1.9649 -0.419 0.593 1.330
H 0.0508 1.5765 -1.0549 -0.394 -0.200 -0.023
H -2.2022 -0.2501 1.2141 0.044 -0.157 -0.105
```
Forces are in eV/Å.


Record 2
Formula: C4H11NO
Source: the OMol25 dataset
Level of theory: wB97M-V/def2-TZVPD

- 2S+1 = 1
- Kohn-Sham gap (eV) = 9.82
- SMILES string = C=CCCN.O
- M (g mol⁻¹) = 89.14
- HOMO energy (eV) = -8.90
- relative energy (zero: lowest compared OMol25 entry of this formula, charge and spin) (eV) = 1.645
- total energy (eV) = -7862.9088

```
17
Properties=species:S:1:pos:R:3:forces:R:3
H 1.0694 -1.0019 -1.4076 0.027 -0.311 0.348
C -1.3300 -0.0864 0.7513 -0.488 -0.980 0.687
H 1.1712 -2.1328 0.9465 -0.171 -0.047 0.444
O -1.9590 2.2458 -1.3645 -0.318 0.455 -0.480
H -0.8122 0.3475 1.5950 0.301 0.398 -0.227
H 2.6546 0.1330 0.0594 0.166 0.097 -0.139
H -1.3095 -1.1341 -1.0472 -0.065 -0.026 -0.138
H -2.3741 -0.2922 0.9739 0.028 0.022 -0.275
H 2.1253 -1.3504 2.1501 -0.313 -0.236 0.126
H -2.4483 1.4160 -1.3647 0.379 0.065 0.277
C -0.7287 -0.5841 -0.3202 0.224 0.833 0.183
H 0.7767 0.6338 -1.2625 -0.331 0.227 0.158
C 1.6932 -0.1626 0.4723 -0.091 -0.448 0.681
H -1.2135 2.1590 -0.7685 -0.106 -0.385 0.133
C 0.7043 -0.2814 -0.6656 0.344 -0.162 -0.868
N 1.8305 -1.4211 1.1957 0.566 0.281 -0.776
H 1.4033 0.6239 1.1742 -0.152 0.218 -0.134
```
Forces are in eV/Å.


Record 3
Formula: C14H27N2O2ReSSeTe
Source: the OMol25 dataset
Level of theory: wB97M-V/def2-TZVPD

- 2S+1 = 2
- Kohn-Sham gap (alpha / beta) (eV) = 5.85 / 6.21
- net charge = -1
- M (g mol⁻¹) = 680.22
- HOMO energy (alpha / beta) (eV) = -3.35 / -3.71
- relative energy (zero: lowest compared OMol25 entry of this formula, charge and spin) (eV) = 0.333
- total energy (eV) = -107637.6049

```
49
Properties=species:S:1:pos:R:3:forces:R:3
C 1.1937 4.2303 -1.6553 0.077 0.306 -0.061
N -0.2844 -1.8325 0.1269 0.145 -0.044 0.264
C 2.7982 -0.8947 3.5834 -0.012 0.041 -0.035
H -3.5017 -2.1685 -0.5924 -0.005 -0.039 -0.023
H 2.9060 0.1206 0.8415 -0.051 0.051 0.108
H -2.9677 -1.7324 -2.9371 -0.003 -0.003 0.009
C -1.3625 -2.4480 -0.6745 -0.014 -0.210 -0.052
H 2.9038 -1.7855 4.2054 -0.012 -0.130 0.057
H 2.0240 -5.4029 -3.4391 -0.069 -0.171 -0.077
H 4.2552 -2.2815 -1.4481 0.161 0.119 0.095
H -2.5713 -0.7934 -0.0515 -0.010 0.020 0.024
H -1.8731 0.3538 -3.6490 0.007 -0.089 0.153
C -2.6125 -1.5733 -0.8126 0.090 0.026 0.033
C 1.9596 0.0784 1.4032 0.386 -0.048 0.099
H 3.7994 -0.5387 3.3335 0.086 0.025 -0.022
H -3.6882 -0.3220 -2.1921 0.001 0.031 0.030
H -0.9456 -2.6588 -1.6600 -0.005 -0.012 0.022
C 3.4262 -4.1056 -2.3692 -0.004 -0.081 -0.048
H 3.7168 -2.3647 1.6923 0.141 0.039 -0.017
H 4.2138 -4.8059 -2.1397 0.074 -0.083 0.011
H 0.5559 -2.4083 0.0570 -0.251 0.122 0.020
H -0.7442 -0.7658 -2.9018 -0.066 0.025 -0.022
H 0.9392 4.4803 -2.6862 0.033 0.050 0.013
H 1.9715 0.9876 2.0233 -0.016 -0.189 -0.051
H 2.3122 -0.1221 4.1776 -0.049 0.074 0.030
H 2.4570 -2.3147 0.4950 -0.050 -0.005 -0.131
S 1.2697 -3.0824 -3.2193 -0.054 0.008 -0.158
C 2.3420 -2.0374 -2.3841 0.087 0.176 0.167
C -2.7871 -0.9443 -2.1973 0.059 -0.018 -0.040
........
_Request_
It remains to find the line earlier on that holds "C=CCCN.O", then write out that line and all lines after it there.
_Response_
- SMILES string = C=CCCN.O
- M (g mol⁻¹) = 89.14
- HOMO energy (eV) = -8.90
- relative energy (zero: lowest compared OMol25 entry of this formula, charge and spin) (eV) = 1.645
- total energy (eV) = -7862.9088

```
17
Properties=species:S:1:pos:R:3:forces:R:3
H 1.0694 -1.0019 -1.4076 0.027 -0.311 0.348
C -1.3300 -0.0864 0.7513 -0.488 -0.980 0.687
H 1.1712 -2.1328 0.9465 -0.171 -0.047 0.444
O -1.9590 2.2458 -1.3645 -0.318 0.455 -0.480
H -0.8122 0.3475 1.5950 0.301 0.398 -0.227
H 2.6546 0.1330 0.0594 0.166 0.097 -0.139
H -1.3095 -1.1341 -1.0472 -0.065 -0.026 -0.138
H -2.3741 -0.2922 0.9739 0.028 0.022 -0.275
H 2.1253 -1.3504 2.1501 -0.313 -0.236 0.126
H -2.4483 1.4160 -1.3647 0.379 0.065 0.277
C -0.7287 -0.5841 -0.3202 0.224 0.833 0.183
H 0.7767 0.6338 -1.2625 -0.331 0.227 0.158
C 1.6932 -0.1626 0.4723 -0.091 -0.448 0.681
H -1.2135 2.1590 -0.7685 -0.106 -0.385 0.133
C 0.7043 -0.2814 -0.6656 0.344 -0.162 -0.868
N 1.8305 -1.4211 1.1957 0.566 0.281 -0.776
H 1.4033 0.6239 1.1742 -0.152 0.218 -0.134
```
Forces are in eV/Å.


Record 3
Formula: C14H27N2O2ReSSeTe
Source: the OMol25 dataset
Level of theory: wB97M-V/def2-TZVPD

- 2S+1 = 2
- Kohn-Sham gap (alpha / beta) (eV) = 5.85 / 6.21
- net charge = -1
- M (g mol⁻¹) = 680.22
- HOMO energy (alpha / beta) (eV) = -3.35 / -3.71
- relative energy (zero: lowest compared OMol25 entry of this formula, charge and spin) (eV) = 0.333
- total energy (eV) = -107637.6049

```
49
Properties=species:S:1:pos:R:3:forces:R:3
C 1.1937 4.2303 -1.6553 0.077 0.306 -0.061
N -0.2844 -1.8325 0.1269 0.145 -0.044 0.264
C 2.7982 -0.8947 3.5834 -0.012 0.041 -0.035
H -3.5017 -2.1685 -0.5924 -0.005 -0.039 -0.023
H 2.9060 0.1206 0.8415 -0.051 0.051 0.108
H -2.9677 -1.7324 -2.9371 -0.003 -0.003 0.009
C -1.3625 -2.4480 -0.6745 -0.014 -0.210 -0.052
H 2.9038 -1.7855 4.2054 -0.012 -0.130 0.057
H 2.0240 -5.4029 -3.4391 -0.069 -0.171 -0.077
H 4.2552 -2.2815 -1.4481 0.161 0.119 0.095
H -2.5713 -0.7934 -0.0515 -0.010 0.020 0.024
H -1.8731 0.3538 -3.6490 0.007 -0.089 0.153
C -2.6125 -1.5733 -0.8126 0.090 0.026 0.033
C 1.9596 0.0784 1.4032 0.386 -0.048 0.099
H 3.7994 -0.5387 3.3335 0.086 0.025 -0.022
H -3.6882 -0.3220 -2.1921 0.001 0.031 0.030
H -0.9456 -2.6588 -1.6600 -0.005 -0.012 0.022
C 3.4262 -4.1056 -2.3692 -0.004 -0.081 -0.048
H 3.7168 -2.3647 1.6923 0.141 0.039 -0.017
H 4.2138 -4.8059 -2.1397 0.074 -0.083 0.011
H 0.5559 -2.4083 0.0570 -0.251 0.122 0.020
H -0.7442 -0.7658 -2.9018 -0.066 0.025 -0.022
H 0.9392 4.4803 -2.6862 0.033 0.050 0.013
H 1.9715 0.9876 2.0233 -0.016 -0.189 -0.051
H 2.3122 -0.1221 4.1776 -0.049 0.074 0.030
H 2.4570 -2.3147 0.4950 -0.050 -0.005 -0.131
S 1.2697 -3.0824 -3.2193 -0.054 0.008 -0.158
C 2.3420 -2.0374 -2.3841 0.087 0.176 0.167
C -2.7871 -0.9443 -2.1973 0.059 -0.018 -0.040